Entries >
Compound: ReSiSe2
Source: the Alexandria database
Functional: PBE
Structure: relaxed

Geometry as extended XYZ:
```
4
Lattice="3.176 0.000 0.000 0.000 3.176 0.000 0.000 0.000 7.318" Properties=species:S:1:pos:R:3 pbc="T T T"
Re 0.000 0.000 0.000
Si 1.588 1.588 5.955
Se 0.000 0.000 4.660
Se 1.588 1.588 1.516
```

Its formation energy (no corrections) is 0.138 eV per atom. The value obtained for the density of states at the Fermi level is 0.47 states/eV per atom. The calculation puts the calculated volume at 18.449 A^3/atom. The total magnetization comes out at 0.00 μB/f.u.


Compound: Tb5PmNd2Sm
Source: the Alexandria database
Functional: PBE
Structure: relaxed

Geometry as extended XYZ:
```
18
Lattice="-4.362 4.362 7.880 4.362 -4.362 7.880 4.362 4.362 -7.880" Properties=species:S:1:pos:R:3 pbc="T T T"
Tb 0.000 0.000 0.000
Tb 6.187 1.825 -2.181
Tb 1.825 2.537 -2.181
Tb 6.187 1.825 2.181
Tb 1.825 2.537 2.181
Tb 0.000 0.000 7.880
Tb 2.537 1.825 5.699
Tb -1.825 2.537 5.699
Tb 2.537 1.825 10.060
Tb -1.825 2.537 10.060
Pm 0.000 0.000 3.940
Pm 0.000 0.000 11.820
Nd 3.331 1.031 0.000
Nd 3.331 -1.031 7.880
Nd 1.031 5.393 0.000
Nd 1.031 3.331 7.880
Sm 4.362 0.000 3.940
Sm 0.000 4.362 3.940
```

For the formation enthalpy at 0 K, the calculation gives 0.26 eV/atom. The value obtained for the density of states at the Fermi level is 1.19 states/eV per atom. The calculation puts the calculated volume at 33.316 A^3/atom. The total magnetization comes out at 0.00 μB/f.u.


Compound: Al2AgW
Source: the Alexandria database
Functional: PBE
Structure: relaxed

Geometry as extended XYZ:
```
4
Lattice="-2.020 2.020 3.897 2.020 -2.020 3.897 2.020 2.020 -3.897" Properties=species:S:1:pos:R:3 pbc="T T T"
Al 2.020 0.000 1.948
Al 0.000 2.020 1.948
Ag 0.000 0.000 0.000
W 0.000 0.000 3.897
```

For the formation enthalpy at 0 K, the calculation gives 0.22 eV/atom. The value obtained for the density of states at the Fermi level is 0.68 states/eV per atom. Its relative energy among the computed polymorphs is 210 meV/atom. The calculation puts the calculated volume at 15.906 A^3/atom. The total magnetization comes out at 0.00 μB/f.u.


Compound: ThV2Re
Source: the Alexandria database
Functional: PBE
Structure: relaxed

Geometry as extended XYZ:
```
4
Lattice="3.128 0.000 0.000 0.000 3.128 0.000 0.000 0.000 7.486" Properties=species:S:1:pos:R:3 pbc="T T T"
Th 0.000 0.000 0.000
V 1.564 1.564 2.338
V 1.564 1.564 5.148
Re 0.000 0.000 3.743
```

For the formation enthalpy at 0 K, the calculation gives 0.14 eV/atom. The value obtained for the density of states at the Fermi level is 1.35 states/eV per atom. Its relative energy among the computed polymorphs is 0 meV/atom. The calculation puts the calculated volume at 18.316 A^3/atom. The total magnetization comes out at 1.29 μB/f.u.


Compound: Be2SiNiAs
Source: the Alexandria database
Functional: PBE
Structure: relaxed

Geometry as extended XYZ:
```
5
Lattice="3.976 0.000 0.000 0.000 3.976 0.000 0.000 0.000 5.312" Properties=species:S:1:pos:R:3 pbc="T T T"
Be 0.000 1.988 0.000
Be 1.988 0.000 0.000
Si 0.000 0.000 2.656
Ni 1.988 1.988 2.656
As 0.000 0.000 0.000
```

Its formation energy (no corrections) is 1.023 eV per atom. The value obtained for the density of states at the Fermi level is 0.43 states/eV per atom. The calculation puts the calculated volume at 16.794 A^3/atom. The total magnetization comes out at 0.00 μB/f.u.


Compound: KHf3Ni
Source: the Alexandria database
Functional: PBE
Structure: relaxed

Geometry as extended XYZ:
```
5
Lattice="4.783 0.000 0.000 0.000 4.783 0.000 0.000 0.000 4.783" Properties=species:S:1:pos:R:3 pbc="T T T"
K 0.000 0.000 0.000
Hf 0.000 0.000 2.391
Hf 0.000 2.391 0.000
Hf 2.391 0.000 0.000
Ni 2.391 2.391 2.391
```

Job >
Start at the top of the data further up and reproduce each line, ending with the one that has "-2.020 3.897".

Solution >
Compound: ReSiSe2
Source: the Alexandria database
Functional: PBE
Structure: relaxed

Geometry as extended XYZ:
```
4
Lattice="3.176 0.000 0.000 0.000 3.176 0.000 0.000 0.000 7.318" Properties=species:S:1:pos:R:3 pbc="T T T"
Re 0.000 0.000 0.000
Si 1.588 1.588 5.955
Se 0.000 0.000 4.660
Se 1.588 1.588 1.516
```

Its formation energy (no corrections) is 0.138 eV per atom. The value obtained for the density of states at the Fermi level is 0.47 states/eV per atom. The calculation puts the calculated volume at 18.449 A^3/atom. The total magnetization comes out at 0.00 μB/f.u.


Compound: Tb5PmNd2Sm
Source: the Alexandria database
Functional: PBE
Structure: relaxed

Geometry as extended XYZ:
```
18
Lattice="-4.362 4.362 7.880 4.362 -4.362 7.880 4.362 4.362 -7.880" Properties=species:S:1:pos:R:3 pbc="T T T"
Tb 0.000 0.000 0.000
Tb 6.187 1.825 -2.181
Tb 1.825 2.537 -2.181
Tb 6.187 1.825 2.181
Tb 1.825 2.537 2.181
Tb 0.000 0.000 7.880
Tb 2.537 1.825 5.699
Tb -1.825 2.537 5.699
Tb 2.537 1.825 10.060
Tb -1.825 2.537 10.060
Pm 0.000 0.000 3.940
Pm 0.000 0.000 11.820
Nd 3.331 1.031 0.000
Nd 3.331 -1.031 7.880
Nd 1.031 5.393 0.000
Nd 1.031 3.331 7.880
Sm 4.362 0.000 3.940
Sm 0.000 4.362 3.940
```

For the formation enthalpy at 0 K, the calculation gives 0.26 eV/atom. The value obtained for the density of states at the Fermi level is 1.19 states/eV per atom. The calculation puts the calculated volume at 33.316 A^3/atom. The total magnetization comes out at 0.00 μB/f.u.


Compound: Al2AgW
Source: the Alexandria database
Functional: PBE
Structure: relaxed

Geometry as extended XYZ:
```
4
Lattice="-2.020 2.020 3.897 2.020 -2.020 3.897 2.020 2.020 -3.897" Properties=species:S:1:pos:R:3 pbc="T T T"